'''
1.
VASP calculation (PBE-GGA) on a relaxed structure of Mn2S.

a = 5.104 Å, b = 3.044 Å, c = 5.277 Å
α = 90.00°, β = 110.10°, γ = 90.00°
Last column: magnetic moment on the atom in μB.
Atoms (fractional coordinates):
1 Mn 0.886 0.000 0.669  1.50
2 Mn 0.279 0.000 0.468  2.67
3 Mn 0.886 0.500 0.169  1.50
4 Mn 0.279 0.500 0.968  2.67
5 S 0.600 0.000 0.241  -0.08
6 S 0.600 0.500 0.741  -0.08

Summary:
E_form (uncorrected) (eV/atom): -0.077
E_tot (eV per cell): -45.39



2.
VASP calculation (PBE-GGA) on a relaxed structure of Np2Ge3Rh2.

a = 4.157 Å, b = 6.956 Å, c = 9.358 Å
α = 90.00°, β = 102.83°, γ = 90.00°
Last column: magnetic moment on the atom in μB.
Atoms (fractional coordinates):
1 Ge 0.784 0.250 0.568  -0.01
2 Ge 0.437 0.936 0.873  -0.04
3 Ge 0.216 0.750 0.432  -0.01
4 Ge 0.563 0.436 0.127  -0.04
5 Ge 0.437 0.564 0.873  -0.04
6 Ge 0.563 0.064 0.127  -0.04
7 Rh 0.305 0.457 0.610  -0.18
8 Rh 0.305 0.043 0.610  -0.18
9 Rh 0.695 0.957 0.390  -0.18
10 Rh 0.695 0.543 0.390  -0.18
11 Np 0.841 0.750 0.682  3.34
12 Np 0.051 0.750 0.103  3.78
13 Np 0.949 0.250 0.897  3.78
14 Np 0.159 0.250 0.318  3.34

Summary:
Formation energy (eV per atom): -0.4293
E_tot (eV per cell): -114.88



3.
VASP calculation (PBE-GGA) on a relaxed structure of Y2Zn2Cu.

a = 3.569 Å, b = 3.569 Å, c = 9.080 Å
α = 78.67°, β = 78.67°, γ = 90.00°
Atoms (fractional coordinates):
1 Zn 0.250 0.750 0.500
2 Zn 0.750 0.250 0.500
3 Y 0.403 0.403 0.195
4 Y 0.597 0.597 0.805
5 Cu 0.000 0.000 0.000

Summary:
Formation energy (eV per atom): -0.0559
E_tot (eV per cell): -19.85



4.
VASP calculation (PBE-GGA) on a relaxed structure of Tl5Si4.

a = 8.081 Å, b = 8.081 Å, c = 8.081 Å
α = 93.12°, β = 93.12°, γ = 153.01°
Atoms (fractional coordinates):
1 Si 0.000 0.385 0.385
2 Si 0.615 0.000 0.615
3 Si 0.000 0.615 0.615
4 Si 0.385 0.000 0.385
5 Tl 0.330 0.330 0.660
6 Tl 0.000 0.000 0.000
7 Tl 0.330 0.670 0.000
8 Tl 0.670 0.330 0.000
9 Tl 0.670 0.670 0.340

Summary:
E_form (uncorrected) (eV/atom): 0.338
E_tot (eV per cell): -30.48



5.
VASP calculation (PBE-GGA) on a relaxed structure of Y2FeRh.

a = 6.093 Å, b = 6.093 Å, c = 4.536 Å
α = 68.09°, β = 68.09°, γ = 32.71°
Last column: magnetic moment on the atom in μB.
Atoms (fractional coordinates):
1 Fe 0.539 0.539 0.461  2.42
2 Y 0.983 0.983 0.016  -0.25
3 Y 0.764 0.764 0.737  -0.11
4 Rh 0.214 0.214 0.286  0.27

Summary:
Formation energy (eV per atom): -0.1963
E_tot (eV per cell): -29.53



6.
VASP calculation (PBE-GGA) on a relaxed structure of SmZn8Cu4.

a = 4.957 Å, b = 6.748 Å, c = 6.748 Å
α = 82.25°, β = 68.45°, γ = 68.45°
Atoms (fractional coordinates):
1 Cu 0.000 0.500 0.000
2 Cu 0.500 0.500 0.000
3 Cu 0.000 0.000 0.500
4 Cu 0.500 0.000 0.500
5 Zn 0.721 0.779 0.779
6 Zn 0.651 0.349 0.349
7 Zn 0.000 0.651 0.349
8 Zn 0.349 0.651 0.651
9 Zn 0.000 0.349 0.651
10 Zn 0.500 0.779 0.221
11 Zn 0.500 0.221 0.779
12 Zn 0.279 0.221 0.221
13 Sm 0.000 0.000 0.000

Summary:
Formation energy (eV per atom): -0.2036
E_tot (eV per cell): -33.94



7.
VASP calculation (PBE-GGA) on a relaxed structure of MgPF.

a = 4.415 Å, b = 3.304 Å, c = 6.598 Å
α = 90.00°, β = 103.09°, γ = 90.00°
Atoms (fractional coordinates):
1 Mg 0.562 0.250 0.808
2 Mg 0.438 0.750 0.192
3 F 0.285 0.250 0.024
4 F 0.715 0.750 0.976
5 P 0.171 0.750 0.507
6 P 0.829 0.250 0.493

Summary:
E_form (uncorrected) (eV/atom): -1.825
E_tot (eV per cell): -28.70



8.
VASP calculation (PBE-GGA) on a relaxed structure of Sr3AcPa2N6.

a = 3.697 Å, b = 7.430 Å, c = 8.324 Å
α = 102.70°, β = 102.83°, γ = 90.00°
Atoms (fractional coordinates):
1 N 0.331 0.869 0.662
2 N 0.971 0.736 0.941
3 N 0.683 0.557 0.366
4 N 0.669 0.131 0.338
5 N 0.317 0.443 0.634
6 N 0.029 0.264 0.059
7 Sr 0.831 0.167 0.662
8 Sr 0.169 0.833 0.338
9 Sr 0.500 0.500 0.000
10 Ac 0.500 0.000 0.000
11 Pa 0.831 0.664 0.662
12 Pa 0.169 0.336 0.338

Summary:
E_form (uncorrected) (eV/atom): -1.258
E_tot (eV per cell): -93.20



9.
VASP calculation (PBE-GGA) on a relaxed structure of CeSm6Er8.
'''

The reader should filter the calculation results earlier on: keep the lines with the word "CeSm6Er8".

VASP calculation (PBE-GGA) on a relaxed structure of CeSm6Er8.